SHINAGAWA works to ensure that the privacy of our clients and employees is protected and managed. We shall only collect, use, disclose, retain, and transfer your personal information if it is relevant to the purposes for which it was collected, and, in a manner set out under the Data Privacy Act of 2012.


Shinagawa collects your personal information through multi-faceted collection channels including but not limited to physical personal collection, through website registration and appointment, social media interaction or through our affiliated third-party information processors.


Primarily, we use your personal information for the facilitation of our medical services. This information may be used among different segments of the company. It is necessary for our authorized employees and contractors to acquire your information to properly carry out their mandates which includes but shall not be limited to the following functions: medical treatment, medical record storage, billing and payment purpose, legal and dispute settlement, regulatory compliance, marketing related activities, research and development, and other functions concerning public health.

-- These quantum chemistry results were left in the page by mistake --
=====
# C3H4O2

C3H4O2 in the gas phase in a non-equilibrium geometry (ωB97M-V with the def2-TZVPD basis set, OMol25).

Atoms and positions in Å:
1 O -1.905 1.349 0.076
2 C -0.895 0.791 0.153
3 C -0.350 -0.510 -0.404
4 C 0.962 -0.130 0.252
5 O 0.429 1.147 0.619
6 H -0.431 -0.385 -1.527
7 H -0.889 -1.504 -0.094
8 H 1.055 -0.711 1.210
9 H 2.025 -0.048 -0.285

* spin multiplicity: 1
* strongest force on any atom: 0.0776 Eh/bohr
* frontier orbital gap: 11.59 eV
* lowest unoccupied orbital energy: 0.88 eV
* SMILES: O=C1CCO1
* E_tot: -267.15188 a.u.

Charges per atom according to Mulliken partitioning, unit e: atom 1 (O): -0.45, atom 2 (C): 0.49, atom 3 (C): -0.33, atom 4 (C): -0.22, atom 5 (O): -0.34, atom 6 (H): 0.19, atom 7 (H): 0.25, atom 8 (H): 0.19, atom 9 (H): 0.23

***

# C3H4O2

C3H4O2 in the gas phase in a non-equilibrium geometry (ωB97M-V with the def2-TZVPD basis set, OMol25).

Atoms and positions in Å:
1 C 0.127 1.176 -0.342
2 C -0.150 -0.062 0.100
3 O -1.442 -0.263 0.461
4 C 0.776 -1.228 0.147
5 O 1.977 -1.101 0.145
6 H -0.673 1.677 -0.887
7 H 1.093 1.643 -0.311
8 H -1.624 0.698 0.563
9 H 0.292 -2.230 0.111

* spin multiplicity: 1
* strongest force on any atom: 0.0319 Eh/bohr
* frontier orbital gap: 9.26 eV
* lowest unoccupied orbital energy: -0.14 eV
* SMILES: C=C(O)C=O
* E_tot: -267.12306 a.u.

Charges per atom according to Mulliken partitioning, unit e: atom 1 (C): -0.88, atom 2 (C): 0.64, atom 3 (O): -0.49, atom 4 (C): -0.06, atom 5 (O): -0.45, atom 6 (H): 0.31, atom 7 (H): 0.26, atom 8 (H): 0.35, atom 9 (H): 0.32

***

# C3H4O2

2 unconnected molecules or ions with the total composition C3H4O2 in a non-equilibrium geometry (ωB97M-V with the def2-TZVPD basis set, OMol25).

Atoms and positions in Å:
1 C 0.368 -0.429 -0.110
2 C 3.068 -0.211 -0.181
3 C -1.009 0.299 0.113
4 O 0.415 -1.621 -0.018
5 O 3.919 0.537 0.106
6 H 2.984 -1.218 0.194
7 H -1.150 0.289 1.152
8 H -1.820 -0.432 -0.042
9 H -0.938 1.215 -0.271

* spin multiplicity: 1
* strongest force on any atom: 0.0930 Eh/bohr
* frontier orbital gap (alpha / beta): 7.73 / 8.77 eV
* lowest unoccupied orbital energy (alpha / beta): -0.43 / 0.33 eV
* E_tot: -267.03161 a.u.

Charges per atom according to Mulliken partitioning, unit e: atom 1 (C): 0.37, atom 2 (C): 0.09, atom 3 (C): -0.99, atom 4 (O): -0.38, atom 5 (O): -0.29, atom 6 (H): 0.23, atom 7 (H): 0.30, atom 8 (H): 0.31, atom 9 (H): 0.36

***

# C3H4O2

2 unconnected molecules or ions with the total composition C3H4O2 (ωB97M-V with the def2-TZVPD basis set, OMol25).

Atoms and positions in Å:
1 O 2.175 -0.436 -0.776
2 C 1.381 -1.285 -0.693
3 O 0.603 -2.150 -0.619
4 C -0.241 1.137 0.275
5 C -1.148 0.178 0.430
6 H -0.150 1.694 -0.654
7 H 0.465 1.390 1.062
8 H -1.840 -0.090 -0.365
9 H -1.226 -0.394 1.351

* spin multiplicity: 1
* strongest force on any atom: 0.0162 Eh/bohr
* frontier orbital gap: 11.08 eV
* lowest unoccupied orbital energy: 0.72 eV
* SMILES: O=C=O.C=C
* E_tot: -267.19278 a.u.
=====

Personal Data Collected

Shinagawa is aligned with the mandate of the Data Privacy Act of 2012 to adhere to data privacy principle of Transparency, Legitimate Purpose and Proportionality. In collecting your Personal Information, it is necessary for us to inform you and make you aware that you are sharing personal information, that we collect only personal information for its intended purpose and we only collect information that is only necessary to carry out the service we provide to you.

Rights of a Data Subject

As a Data subject, you have the following rights in accordance with the Data Privacy Act of 2012 as follows:

  • Right to be informed (IRR, Section 34. a)
  • Right to object (IRR, Section 34. b)
  • Right to access (IRR, Section 34. c)
  • Right to data portability (IRR, Section 36)
  • Right to be corrected (rectify) (IRR, Section 34. d)
  • Right to file a complaint (IRR, Section 34.a.2)
  • Right to damages (IRR, Section 34.f)
  • Right to erasure or blocking (IRR, Section 34. e)
  • Transmissibility of Right (IRR, Section 35)


We have Organizational, Technical, and Physical Security Measures to protect your information. Among others, it includes but is not limited to having secured IT infrastructure, secured physical storage system and deploying appropriate retention and disposal policies, verification and security measures in the event of request to access medical records and other measures that is necessary to keep your personal information properly maintained, organized, and secured.

Retention and Disposal

Upon collection, Shinagawa may retain your personal information for up to ten (10) years from the last date of consultation/surgery (or until there is a legal necessity to retain the information relative to its intended purpose). Nevertheless, Shinagawa may dispose your records as it deems necessary as long as it is accordance with the law and the issuances of our regulating agency.

Once a medical record has been inactive after the retention period, Shinagawa disposes your personal records in the manner accorded with the best data privacy practices.

In your own volition, you may also request for the deletion of your personal information by sending a written request addressed to our Data Privacy Officer to which information is provided below. In the event of request for deletion or withdrawal of consent, please be informed that Shinagawa may no longer be able to provide you with continuous support depending on the extent of the request.

Automate Process

Shinagawa has no automated process making system.


Threat to data privacy breach is always looming, but, we have carefully assessed these risks and have placed measures to deter this, in the best of our ability. We also see to it that we are compliant with the requirements of the National Privacy Commission, which is the country’s privacy watchdog; an independent body mandated to administer and implement the Data Privacy Act of 2012, and to monitor and ensure compliance of the country with international standards set for data protection.


Your personal information may be shared among the authorized personnel of the personal information controller and processors. However, such disclosure is only relevant to the intended purpose of the disclosure and to effectively carryout the service of Shinagawa. This may include but shall not be limited to the controllers’ and processors’ authorized employees, affiliated hospitals, HMO providers, independent medical contractors, medical consultants, and affiliated service providers. We may also share your personal information to Shinagawa’s subsidiaries for marketing and promotional campaigns subject to your express consent.


Shinagawa is a lawfully registered corporation that has been authorized to conduct its business in the Philippines. As part of the medical industry, the Department of Health empowers Shinagawa to have a legal mandate to collect, process, use, maintain, retain, and dispose your personal information within the bounds permitted by law.

DPO Contact Information

Your privacy is important to us. We are committed effectively develop our data protection practices and we thank you for putting your trust to our organization in handling your personal information. For any concerns or matters relating to but not limited to how we process your information, request to access information or if you believe your privacy has been violated, you may reach contact us through or you may course your concern directly to our Data Privacy Officer through

The provision of this Policy is effective this 16th day of June 2023 until amended.


At Shinagawa Diagnostic & Preventive Care, we uphold the highest ethical conduct and privacy compliance standards. We take pride in our Certificate of Registration and Seal of Compliance, demonstrating our unwavering commitment to strict adherence to the guidelines set forth by the National Privacy Commission. Our dedication to safeguarding individual privacy and data protection rights among our stakeholders is paramount. We ensure strict compliance measures to protect our patient’s privacy rights, prioritizing the confidentiality and security of their personal information. Rest assured, at Shinagawa Diagnostic & Preventive Care, your privacy is our top priority.